What is needed: write out the part of the data underneath that starts with the line with "P-62m (No." and stops after the one with "0.1716 0.4767".

........
An optimized crystal structure of GdP5, computed with r²SCAN.

Cell lengths 4.9845, 9.4560, 5.3883 Å; angles 90.00, 102.35, 90.00 degrees
Last column: nearest neighbours and their distance in Å.
Space group P2_1/m (No. 11)
One atom of each set of equivalent atoms:
Gd 0.0060 0.2500 0.3501  8 P 2.97-3.05
P 0.2859 0.2500 0.8995  2 P 2.20
P 0.2905 0.5297 0.4023  2 P 2.15-2.20
P 0.3847 0.5912 0.0455  3 P 2.15-2.20

Results
E = -15.356 eV per atom
ΔH_f (0 K) = -0.622 eV/atom

***

An optimized crystal structure of Gd5P12Ru19, computed with r²SCAN.

Cell lengths 12.4788, 12.4788, 3.9784 Å; angles 90.00, 90.00, 120.00 degrees
Last column: nearest neighbours and their distance in Å.
Space group P-62m (No. 189)
One atom of each set of equivalent atoms:
Gd 0.0000 0.8166 0.0000  10 Ru 3.03-3.36, 6 P 3.04-3.09
Gd 0.3333 0.6667 0.5000  6 P 2.98, 9 Ru 3.12-3.13
P 0.0000 0.1861 0.5000  5 Ru 2.32-2.35
P 0.0000 0.6266 0.5000  7 Ru 2.26-2.51
P 0.1716 0.4767 0.0000  5 Ru 2.29-2.39
Ru 0.0000 0.0000 0.5000  3 P 2.32
Ru 0.0000 0.2838 0.0000  4 P 2.29-2.33
Ru 0.0000 0.4457 0.5000  1 P 2.26
Ru 0.1253 0.6330 0.0000  4 P 2.29-2.51
Ru 0.1850 0.3777 0.5000  4 P 2.35-2.39

Results
E = -23.354 eV per atom
ΔH_f (0 K) = -0.907 eV/atom

***

An optimized crystal structure of GdPS4, computed with r²SCAN.

Cell lengths 10.8006, 10.8006, 19.1571 Å; angles 90.00, 90.00, 90.00 degrees
Last column: nearest neighbours and their distance in Å.
Space group I4_1/acd (No. 142, origin choice 2)
One atom of each set of equivalent atoms:
Gd 0.0000 0.2500 0.1250  8 S 2.92-2.93
Gd 0.0000 0.2500 0.3750  8 S 2.85-3.02
P 0.0376 0.0000 0.2500  4 S 2.03
S 0.0667 0.0036 0.8382  1 P 2.03
S 0.0901 0.1132 0.0030  1 P 2.03

Results
E = -15.300 eV per atom
ΔH_f (0 K) = -1.210 eV/atom

***

An optimized crystal structure of GdPaRu2, computed with r²SCAN.

Cell lengths 6.8494, 6.8494, 6.8494 Å; angles 90.00, 90.00, 90.00 degrees
Last column: nearest neighbours and their distance in Å.
Space group Fm-3m (No. 225)
One atom of each set of equivalent atoms:
Gd 0.0000 0.0000 0.0000  8 Ru 2.97
Pa 0.0000 0.0000 0.5000  8 Ru 2.97
Ru 0.2500 0.2500 0.2500  4 Gd 2.97, 4 Pa 2.97

Results
E = -43.126 eV per atom
ΔH_f (0 K) = -0.351 eV/atom

***

An optimized crystal structure of GdPaTc2, computed with r²SCAN.

Cell lengths 6.8556, 6.8556, 6.8556 Å; angles 90.00, 90.00, 90.00 degrees
Last column: nearest neighbours and their distance in Å.
Space group Fm-3m (No. 225)
One atom of each set of equivalent atoms:
Gd 0.0000 0.0000 0.0000  8 Tc 2.97
Pa 0.0000 0.0000 0.5000  8 Tc 2.97
Tc 0.2500 0.2500 0.2500  4 Gd 2.97, 4 Pa 2.97

Results
E = -43.113 eV per atom
ΔH_f (0 K) = -0.067 eV/atom

***

An optimized crystal structure of Gd5Pb3, computed with r²SCAN.

Cell lengths 9.1906, 9.1906, 6.6484 Å; angles 90.00, 90.00, 120.00 degrees
Last column: nearest neighbours and their distance in Å.
Space group P6_3/mcm (No. 193)
One atom of each set of equivalent atoms:
Gd 0.0000 0.2393 0.2500  3 Pb 3.14-3.40
Gd 0.3333 0.6667 0.0000  6 Pb 3.29, 2 Gd 3.32
Pb 0.0000 0.3913 0.7500  7 Gd 3.14-3.40

Results
E = -48.878 eV per atom
ΔH_f (0 K) = -0.648 eV/atom

***

An optimized crystal structure of GdPb3, computed with r²SCAN.

Cell lengths 4.8699, 4.8699, 4.8699 Å; angles 90.00, 90.00, 90.00 degrees
Last column: nearest neighbours and their distance in Å.
Space group Pm-3m (No. 221)
One atom of each set of equivalent atoms:
Gd 0.0000 0.0000 0.0000  12 Pb 3.44
Pb 0.0000 0.5000 0.5000  4 Gd 3.44, 8 Pb 3.44

Results
E = -53.440 eV per atom
ΔH_f (0 K) = -0.377 eV/atom

***

An optimized crystal structure of GdPd3, computed with r²SCAN.

Cell lengths 4.1197, 4.1197, 4.1197 Å; angles 90.00, 90.00, 90.00 degrees
Last column: nearest neighbours and their distance in Å.
Space group Pm-3m (No. 221)
One atom of each set of equivalent atoms:
Gd 0.0000 0.0000 0.0000  12 Pd 2.91
Pd 0.0000 0.5000 0.5000  4 Gd 2.91, 8 Pd 2.91

Results
E = -28.918 eV per atom
ΔH_f (0 K) = -0.848 eV/atom

***
........

Space group P-62m (No. 189)
One atom of each set of equivalent atoms:
Gd 0.0000 0.8166 0.0000  10 Ru 3.03-3.36, 6 P 3.04-3.09
Gd 0.3333 0.6667 0.5000  6 P 2.98, 9 Ru 3.12-3.13
P 0.0000 0.1861 0.5000  5 Ru 2.32-2.35
P 0.0000 0.6266 0.5000  7 Ru 2.26-2.51
P 0.1716 0.4767 0.0000  5 Ru 2.29-2.39